‘No choice’ but to shut Vic construction

Protest: Victoria has 603 new COVID-19 cases, as the construction industry is shut down for two weeks. Photo: JAMES ROSS/ AAP IMAGE
THERE was “no choice” but to shut down swathes of Victoria’s construction industry because of the spread of COVID-19 and low public health compliance, the State Government says.
Health minister Martin Foley on Tuesday defended a late-night decision to close down construction in locked-down Melbourne, Geelong, Ballarat, Mitchell Shire and the Surf Coast.
An official Government statement declaring the shutdown was not issued until 10pm on Monday night, effective at midnight.
Mr Foley said for weeks the Government had been warning of high cases linked to construction sites, with outbreaks taking hold in a young and mobile workforce.
“As a result of these figures, the public health team was left with no choice but to hit the pause button and continue working with the sector over these next two weeks to improve compliance,” Mr Foley told reporters.
There are 403 cases directly linked to construction, from 186 work sites, he said.
Of those, 151 sites are in metropolitan Melbourne with 362 connected cases, including 49 people who live in regional Victoria.
An audit of about 200 construction sites on Thursday found 73 per cent were failing to comply with health directions.
The shutdown followed a violent protest outside the CFMEU’s head office in central Melbourne.
Mr Foley said Monday’s violence was “deplorable and an insult to every Victorian who has been doing the right thing”, but the decision to shut down the industry was influenced by data.
An amnesty will be in place on Tuesday so a limited number of workers can attend construction sites to shut them down safely.
The Government said all sites would need to demonstrate compliance with the chief health officer’s directions before reopening, including proof workers have had at least one dose of a vaccine before they return to work on 5 October.
The Property Council of Australia said the shutdown would cost the economy $1.1 billion a week.
Treasurer and industrial relations minister Tim Pallas said the Government was still working out the financial fallout of the closure.
The protests continued on Tuesday, with the riot squad and mounted police facing off with a hi-vis wearing crowd of mostly young men.
The CFMEU Victorian construction branch secretary John Setka described the protests as “absolutely outrageous”.
“We’ve tried to keep our members all working and … because of a handful of drunken idiots there’s 300,000-plus workers sitting at home for at least the next two weeks,” he told ABC radio on Tuesday.
The shutdown began on the same day Victoria recorded 603 new COVID-19 cases and one death.
It is the highest daily tally in the current outbreak and since August 2020.
The total number of active cases in the state to 6000 and the number of death from this outbreak to 13.
Among the latest cases is an outbreak in an aged care facility.
There are now 15 cases linked to the Meadow Heights aged care home – 11 staff and four residents.
Chief health officer Brett Sutton said 94 per cent of staff at the home were fully vaccinated and the remainder had had their first dose, while 77 per cent of residents were fully vaccinated, some were partially inoculated, and the remainder had declined.
## Misplaced records of crystals
Density functional theory data (GGA-PBE) for a geometry-optimized Nd2Sm2Tm3 structure.

a b c (Å): 5.9495 5.6053 8.6275
angles (deg): 76.45 69.83 57.95
Atoms (fractional coordinates):
Tm: 0.6418 0.1470 0.5694
Tm: 0.5000 0.0000 0.0000
Nd: 0.2142 0.7108 0.8609
Nd: 0.7858 0.2892 0.1391
Tm: 0.3582 0.8530 0.4306
Sm: 0.9306 0.4309 0.7080
Sm: 0.0694 0.5691 0.2920

Properties
DOS(E_F) = 13.5 states/eV/cell
Space group = C2/m (12)
Spin magnetization = 0.000 μB per formula unit
VASP energy = -4.506 eV per atom
Energy of formation = 0.121 eV per atom


{"formula": "Sr3AlV", "functional": "GGA-PBE", "state": "optimized geometry", "cell": [[6.160, 0.000, 0.000], [0.000, 6.160, 0.000], [0.000, 0.000, 6.160]], "species": ["Sr", "Al", "Sr", "Sr", "V"], "frac_coords": [[0.000, 0.500, 0.000], [0.000, 0.000, 0.000], [0.000, 0.000, 0.500], [0.500, 0.000, 0.000], [0.500, 0.500, 0.500]], "relative_energy_mev_per_atom": 0.0, "formation_enthalpy_0k_kj_per_mol_atoms": 72, "rho_g_cm3": 2.42, "final_energy_ev_per_atom": -2.830, "crystal_system": "cubic", "sg": "Pm-3m"}

=====

{"formula": "YUMn2", "functional": "GGA-PBE", "state": "optimized geometry", "cell": [[3.568, 0.000, 0.000], [-1.784, 3.908, -1.192], [0.000, -0.493, 5.853]], "species": ["Y", "Mn", "U", "Mn"], "frac_coords": [[0.278, 0.557, 0.775], [0.734, 0.468, 0.179], [0.442, 0.883, 0.366], [0.046, 0.092, 0.180]], "relative_energy_mev_per_atom": 281.6, "formation_enthalpy_0k_kj_per_mol_atoms": 29, "rho_g_cm3": 9.12, "final_energy_ev_per_atom": -8.719, "crystal_system": "monoclinic", "sg": "Cm"}

=====

{"formula": "CeErAlAu", "functional": "GGA-PBE", "state": "optimized geometry", "cell": [[-3.982, -3.175, 0.917], [-0.742, -4.153, -2.998], [0.853, -4.741, 1.890]], "species": ["Al", "Au", "Er", "Ce"], "frac_coords": [[0.500, 0.500, 0.500], [0.000, 0.000, 0.000], [0.750, 0.750, 0.750], [0.250, 0.250, 0.250]], "formation_enthalpy_0k_kj_per_mol_atoms": -43, "rho_g_cm3": 9.00, "final_energy_ev_per_atom": -4.827, "crystal_system": "cubic", "sg": "F-43m"}


The following is a DFT calculation (meta-GGA SCAN) of a PBEsol-optimized structure of LiY2SbPt.

Properties
Formation energy from raw total energies   -3.9 eV/f.u.
Magnetic moment   0.0 μB per cell

Lattice parameters (Å, degrees): 5.3013 5.3013 4.5829 90.00 90.00 90.00
Closest atoms and distances in Å follow each position.
Affected residents are being transferred out of the facility.
The state’s roadmap out of lockdown was released on Sunday, detailing small changes to restrictions when 80 per cent of Victorians aged over 16 have received a single vaccine dose.
Melbourne’s lockdown will remain in place until 70 per cent of Victorians are double-vaccinated, a target that could be reached about October 26.